Input =
# C41H47AuClN2O9P4

A structure of composition C41H47AuClN2O9P4 at a distorted geometry (ωB97M-V with the def2-TZVPD basis set, OMol25).

The value obtained for the total energy is -118056.7218 eV. As for the total charge: +1. The multiplicity is 3. The HOMO energy (spin up / spin down) is -10.28 / -10.32 eV. Its gap between HOMO and LUMO (spin up / spin down) is 8.6 / 4.6 eV. The value obtained for the energy above the lowest of the compared OMol25 structures with the same formula, charge and spin is 0.125 eV.

XYZ file:
```
105
C41H47AuClN2O9P4 ωB97M-V with the def2-TZVPD basis set
Au -0.005 1.054 -0.384
N -3.965 -1.014 1.560
C -2.761 -0.311 2.170
C -3.078 -0.113 3.653
P -1.434 -1.632 1.941
O -0.464 -1.382 3.176
O -2.239 -2.879 2.111
O -0.700 -1.339 0.679
P -2.563 1.330 1.361
O -4.141 1.693 1.257
O -1.820 2.263 2.229
O -2.097 1.120 -0.085
H -3.766 -2.025 1.739
H -4.037 -0.874 0.546
H -4.833 -0.690 1.992
H -3.267 -1.074 4.135
H -3.946 0.537 3.784
H -2.227 0.352 4.143
H 0.144 -0.639 2.947
H -4.301 2.630 1.360
C 4.617 -0.058 1.177
C 4.549 1.074 0.148
C 4.994 2.408 0.756
C 5.368 0.743 -1.106
C 3.130 1.199 -0.256
N 2.025 1.272 -0.534
H 5.664 -0.203 1.447
H 4.232 -0.990 0.763
H 4.049 0.201 2.070
H 6.051 2.319 1.007
H 4.428 2.633 1.659
H 4.878 3.224 0.044
H 6.417 0.688 -0.815
H 5.263 1.514 -1.868
H 5.075 -0.218 -1.530
C -0.605 -1.261 6.436
C 0.713 -0.637 6.761
C 1.570 -1.149 7.705
C 2.799 -0.533 7.950
Cl 3.835 -1.203 9.132
C 3.214 0.614 7.256
C 2.387 1.160 6.313
C 1.139 0.537 6.070
O 0.284 0.956 5.157
C 0.534 2.044 4.290
C 1.525 1.463 3.156
O 2.689 1.836 3.269
O 0.957 0.712 2.358
H -0.765 -2.145 7.049
H -0.653 -1.542 5.383
H -1.419 -0.558 6.618
H 1.300 -2.034 8.263
H 4.179 1.050 7.466
H 2.705 2.012 5.735
H 1.008 2.879 4.794
H -0.407 2.291 3.802
C -0.292 -0.453 -3.528
P -0.453 -1.024 -1.791
C -1.991 -1.972 -1.841
C -3.186 -1.254 -1.741
C -4.400 -1.907 -1.884
C -4.431 -3.280 -2.104
C -3.245 -3.988 -2.209
C -2.022 -3.338 -2.089
C 0.991 -2.091 -1.527
C 0.930 -3.179 -0.655
C 2.050 -3.969 -0.445
C 3.247 -3.667 -1.080
C 3.327 -2.564 -1.917
C 2.206 -1.778 -2.140
P -0.097 1.378 -3.714
C 0.100 1.471 -5.538
C 0.910 0.571 -6.230
C 1.129 0.709 -7.594
C 0.543 1.755 -8.289
C -0.258 2.663 -7.610
C -0.477 2.522 -6.248
C -1.831 1.926 -3.514
C -2.896 1.353 -4.211
C -4.185 1.831 -4.051
C -4.423 2.906 -3.200
C -3.373 3.496 -2.515
C -2.083 3.004 -2.673
H -1.137 -0.852 -4.093
H 0.611 -0.905 -3.930
H -3.154 -0.180 -1.587
H -5.324 -1.345 -1.840
H -5.378 -3.793 -2.204
H -3.265 -5.053 -2.394
H -1.108 -3.904 -2.194
H 0.011 -3.397 -0.132
H 1.985 -4.817 0.221
H 4.117 -4.289 -0.920
H 4.258 -2.321 -2.411
H 2.299 -0.907 -2.775
H 1.392 -0.249 -5.716
H 1.757 -0.004 -8.111
H 0.706 1.862 -9.352
H -0.717 3.484 -8.142
H -1.112 3.237 -5.739
H -2.714 0.534 -4.898
H -5.000 1.381 -4.602
H -5.428 3.292 -3.086
H -3.553 4.340 -1.865
H -1.263 3.460 -2.131
```



# C6H14NO

The ion C6H14NO with charge -1 at a distorted geometry (ωB97M-V with the def2-TZVPD basis set, OMol25).

The value obtained for the total energy is -9982.5376 eV. As for the total charge: -1. The HOMO energy is -2.32 eV. Its gap between HOMO and LUMO is 6.1 eV. The value obtained for the energy above the lowest of the compared OMol25 structures with the same formula, charge and spin is 4.086 eV.

XYZ file:
```
22
C6H14NO ωB97M-V with the def2-TZVPD basis set
C -0.028 0.013 2.470
N -0.857 0.044 1.276
C 0.212 -0.310 0.148
C -0.191 0.083 -1.232
C -0.975 1.387 -1.126
C -0.873 2.154 -2.698
C 0.966 -1.826 0.161
O 1.834 -1.793 1.103
H 0.854 -0.633 2.371
H 0.167 1.250 2.746
H -0.550 -0.369 3.331
H -1.523 -0.859 1.374
H 1.166 0.276 0.255
H -0.656 -0.608 -1.831
H 0.887 0.201 -1.833
H -1.936 1.268 -0.768
H -0.527 2.208 -0.405
H -1.413 2.973 -2.654
H -1.292 1.382 -3.311
H 0.125 2.540 -2.951
H 1.175 -2.015 -0.999
H 0.179 -2.581 0.580
```



# C15H53BI2N21O10

A cluster of 11 separate species, C15H53BI2N21O10 in total at a distorted geometry (ωB97M-V with the def2-TZVPD basis set, OMol25).

Assignment =
Could you reproduce the whole of the contents further up without additions?

Completed =
# C41H47AuClN2O9P4

A structure of composition C41H47AuClN2O9P4 at a distorted geometry (ωB97M-V with the def2-TZVPD basis set, OMol25).

The value obtained for the total energy is -118056.7218 eV. As for the total charge: +1. The multiplicity is 3. The HOMO energy (spin up / spin down) is -10.28 / -10.32 eV. Its gap between HOMO and LUMO (spin up / spin down) is 8.6 / 4.6 eV. The value obtained for the energy above the lowest of the compared OMol25 structures with the same formula, charge and spin is 0.125 eV.

XYZ file:
```
105
C41H47AuClN2O9P4 ωB97M-V with the def2-TZVPD basis set
Au -0.005 1.054 -0.384
N -3.965 -1.014 1.560
C -2.761 -0.311 2.170
C -3.078 -0.113 3.653
P -1.434 -1.632 1.941
O -0.464 -1.382 3.176
O -2.239 -2.879 2.111
O -0.700 -1.339 0.679
P -2.563 1.330 1.361
O -4.141 1.693 1.257
O -1.820 2.263 2.229
O -2.097 1.120 -0.085
H -3.766 -2.025 1.739
H -4.037 -0.874 0.546
H -4.833 -0.690 1.992
H -3.267 -1.074 4.135
H -3.946 0.537 3.784
H -2.227 0.352 4.143
H 0.144 -0.639 2.947
H -4.301 2.630 1.360
C 4.617 -0.058 1.177
C 4.549 1.074 0.148
C 4.994 2.408 0.756
C 5.368 0.743 -1.106
C 3.130 1.199 -0.256
N 2.025 1.272 -0.534
H 5.664 -0.203 1.447
H 4.232 -0.990 0.763
H 4.049 0.201 2.070
H 6.051 2.319 1.007
H 4.428 2.633 1.659
H 4.878 3.224 0.044
H 6.417 0.688 -0.815
H 5.263 1.514 -1.868
H 5.075 -0.218 -1.530
C -0.605 -1.261 6.436
C 0.713 -0.637 6.761
C 1.570 -1.149 7.705
C 2.799 -0.533 7.950
Cl 3.835 -1.203 9.132
C 3.214 0.614 7.256
C 2.387 1.160 6.313
C 1.139 0.537 6.070
O 0.284 0.956 5.157
C 0.534 2.044 4.290
C 1.525 1.463 3.156
O 2.689 1.836 3.269
O 0.957 0.712 2.358
H -0.765 -2.145 7.049
H -0.653 -1.542 5.383
H -1.419 -0.558 6.618
H 1.300 -2.034 8.263
H 4.179 1.050 7.466
H 2.705 2.012 5.735
H 1.008 2.879 4.794
H -0.407 2.291 3.802
C -0.292 -0.453 -3.528
P -0.453 -1.024 -1.791
C -1.991 -1.972 -1.841
C -3.186 -1.254 -1.741
C -4.400 -1.907 -1.884
C -4.431 -3.280 -2.104
C -3.245 -3.988 -2.209
C -2.022 -3.338 -2.089
C 0.991 -2.091 -1.527
C 0.930 -3.179 -0.655
C 2.050 -3.969 -0.445
C 3.247 -3.667 -1.080
C 3.327 -2.564 -1.917
C 2.206 -1.778 -2.140
P -0.097 1.378 -3.714
C 0.100 1.471 -5.538
C 0.910 0.571 -6.230
C 1.129 0.709 -7.594
C 0.543 1.755 -8.289
C -0.258 2.663 -7.610
C -0.477 2.522 -6.248
C -1.831 1.926 -3.514
C -2.896 1.353 -4.211
C -4.185 1.831 -4.051
C -4.423 2.906 -3.200
C -3.373 3.496 -2.515
C -2.083 3.004 -2.673
H -1.137 -0.852 -4.093
H 0.611 -0.905 -3.930
H -3.154 -0.180 -1.587
H -5.324 -1.345 -1.840
H -5.378 -3.793 -2.204
H -3.265 -5.053 -2.394
H -1.108 -3.904 -2.194
H 0.011 -3.397 -0.132
H 1.985 -4.817 0.221
H 4.117 -4.289 -0.920
H 4.258 -2.321 -2.411
H 2.299 -0.907 -2.775
H 1.392 -0.249 -5.716
H 1.757 -0.004 -8.111
H 0.706 1.862 -9.352
H -0.717 3.484 -8.142
H -1.112 3.237 -5.739
H -2.714 0.534 -4.898
H -5.000 1.381 -4.602
H -5.428 3.292 -3.086
H -3.553 4.340 -1.865
H -1.263 3.460 -2.131
```



# C6H14NO

The ion C6H14NO with charge -1 at a distorted geometry (ωB97M-V with the def2-TZVPD basis set, OMol25).

The value obtained for the total energy is -9982.5376 eV. As for the total charge: -1. The HOMO energy is -2.32 eV. Its gap between HOMO and LUMO is 6.1 eV. The value obtained for the energy above the lowest of the compared OMol25 structures with the same formula, charge and spin is 4.086 eV.

XYZ file:
```
22
C6H14NO ωB97M-V with the def2-TZVPD basis set
C -0.028 0.013 2.470
N -0.857 0.044 1.276
C 0.212 -0.310 0.148
C -0.191 0.083 -1.232
C -0.975 1.387 -1.126
C -0.873 2.154 -2.698
C 0.966 -1.826 0.161
O 1.834 -1.793 1.103
H 0.854 -0.633 2.371
H 0.167 1.250 2.746
H -0.550 -0.369 3.331
H -1.523 -0.859 1.374
H 1.166 0.276 0.255
H -0.656 -0.608 -1.831
H 0.887 0.201 -1.833
H -1.936 1.268 -0.768
H -0.527 2.208 -0.405
H -1.413 2.973 -2.654
H -1.292 1.382 -3.311
H 0.125 2.540 -2.951
H 1.175 -2.015 -0.999
H 0.179 -2.581 0.580
```



# C15H53BI2N21O10

A cluster of 11 separate species, C15H53BI2N21O10 in total at a distorted geometry (ωB97M-V with the def2-TZVPD basis set, OMol25).